Congenital Diaphragmatic Hernia (CDH): Cora's Story
Congenital Diaphragmatic Hernia (CDH): Cora's Story
Jenni Pappas was 22 weeks pregnant with her second child when she found herself staring at her doctor in disbelief. The ultrasound image they were looking at showed a mass on her baby's chest so large that it had pushed the heart out of place. It was the baby's liver.

Stunned, all Jenni could manage to ask was, "is my baby not going to make it?"
Jenni’s unborn baby girl was diagnosed with a right congenital diaphragmatic hernia (CDH). Before that day, she had never heard of CDH, and she was not alone. Although CDH is as common as spina bifida and cystic fibrosis, affecting one in every 2,500 babies, many have never heard of the condition.
The cause of CDH is unknown. It occurs when the diaphragm doesn't form properly, leaving a hole in the muscle. The contents of the abdomen, including the liver, spleen, stomach and intestines, can pass through this opening into the chest, compressing the developing lungs and impeding their growth. CDH babies suffer multiple complications, and the condition can be fatal.
Attached: records of molecules >
-- begin --
ORCA calculation (wB97M-V/def2-TZVPD) on a gas-phase ion, C3H4N5 (charge +1) at a distorted geometry.

XYZ file:
```
12
C3H4N5 (wB97M-V/def2-TZVPD)
N 4.11 -0.76 -0.02
N 3.19 -0.17 -0.10
C 1.88 0.45 0.10
N 1.76 1.78 0.01
N 0.51 1.99 0.01
C -0.27 0.87 0.03
C 0.65 -0.24 0.02
N 0.33 -1.56 -0.01
H 0.32 2.98 -0.06
H -1.28 0.76 -0.06
H -0.64 -1.64 -0.19
H 1.09 -2.06 -0.41
```

Computed properties:
Orbital gap (spin up / spin down)   7.91 / 7.91 eV
Largest force on an atom   0.0793 Eh/bohr
Energy   -390.157289 hartree
HOMO energy (spin up / spin down)   -0.493 / -0.493 hartree
SMILES   N#[N+]c1n[nH]cc1N
Total charge   +1

ORCA calculation (wB97M-V/def2-TZVPD) on a molecular structure, C58H58IrN7O3P2S6.

XYZ file:
```
135
C58H58IrN7O3P2S6 (wB97M-V/def2-TZVPD)
Ir -1.04 -0.17 -0.24
N -1.99 2.52 0.24
P -2.50 1.14 1.09
C -4.29 0.96 0.92
C -4.86 -0.30 0.82
C -6.24 -0.43 0.72
C -7.04 0.70 0.71
C -6.47 1.96 0.83
C -5.10 2.09 0.95
C -2.38 1.74 2.80
C -1.66 2.89 3.10
C -1.67 3.41 4.39
C -2.39 2.77 5.38
C -3.12 1.62 5.09
C -3.12 1.11 3.80
P -1.21 1.95 -1.15
C 0.31 2.89 -1.42
C 1.31 2.87 -0.45
C 2.51 3.53 -0.67
C 2.73 4.20 -1.87
C 1.74 4.22 -2.84
C 0.53 3.57 -2.62
C -2.30 2.50 -2.50
C -2.74 3.82 -2.37
C -3.58 4.38 -3.32
C -4.00 3.63 -4.41
C -3.56 2.32 -4.55
C -2.72 1.76 -3.60
H -2.44 3.42 0.31
H -4.23 -1.18 0.82
H -6.68 -1.42 0.63
H -8.11 0.60 0.62
H -7.10 2.84 0.85
H -4.67 3.08 1.08
H -1.08 3.38 2.33
H -1.11 4.31 4.61
H -2.41 3.18 6.38
H -3.69 1.13 5.86
H -3.70 0.23 3.57
H 1.16 2.32 0.47
H 3.28 3.52 0.09
H 3.67 4.72 -2.04
H 1.90 4.76 -3.77
H -0.23 3.60 -3.39
H -2.41 4.44 -1.55
H -3.90 5.41 -3.21
H -4.66 4.06 -5.15
H -3.88 1.73 -5.39
H -2.41 0.73 -3.73
O 0.54 0.42 1.25
S 1.12 -0.48 2.36
C 0.71 0.37 3.92
C 1.64 1.46 4.36
C 1.83 2.60 3.59
C 2.71 3.59 4.01
C 3.40 3.45 5.21
C 3.22 2.31 5.98
C 2.35 1.32 5.55
C 2.90 -0.19 2.34
C 3.67 -1.03 1.38
C 4.37 -0.43 0.34
C 5.20 -1.19 -0.48
C 5.32 -2.55 -0.27
C 4.61 -3.16 0.75
C 3.78 -2.41 1.57
H 0.67 -0.43 4.67
H -0.30 0.71 3.74
H 1.30 2.71 2.66
H 2.85 4.48 3.41
H 4.08 4.23 5.54
H 3.75 2.20 6.91
H 2.21 0.43 6.16
H 3.21 -0.39 3.37
H 3.02 0.88 2.16
H 4.30 0.64 0.20
H 5.76 -0.70 -1.27
H 5.98 -3.14 -0.89
H 4.72 -4.23 0.92
H 3.25 -2.88 2.39
C -0.48 -4.96 -3.96
S -0.96 -3.29 -3.48
C -2.28 -3.57 -2.37
C -2.93 -2.60 -1.70
S -2.74 -0.85 -1.70
S -4.38 -3.13 -0.85
C -4.27 -4.82 -1.19
S -5.30 -5.95 -0.62
S -2.92 -5.19 -2.21
H 0.35 -4.83 -4.65
H -1.28 -5.48 -4.48
H -0.14 -5.54 -3.11
C 0.39 0.22 -3.61
C 0.96 -0.73 -2.63
N 0.55 -0.96 -1.39
C 1.34 -1.98 -0.89
C 2.24 -2.35 -1.84
N 1.99 -1.55 -2.93
C 2.70 -1.59 -4.20
N 4.09 -1.31 -4.07
N 4.97 -2.32 -3.83
N 6.15 -1.85 -3.75
C 6.09 -0.49 -3.93
C 7.11 0.47 -3.93
C 6.74 1.78 -4.12
C 5.39 2.14 -4.32
C 4.38 1.21 -4.33
C 4.76 -0.12 -4.13
H -0.51 0.67 -3.20
H 0.09 -0.29 -4.53
H 1.09 1.02 -3.86
H 1.20 -2.38 0.09
H 3.03 -3.08 -1.84
H 2.25 -0.87 -4.87
H 2.61 -2.59 -4.63
H 8.15 0.18 -3.79
H 7.50 2.55 -4.13
H 5.15 3.18 -4.48
H 3.35 1.50 -4.49
O -1.07 -2.05 0.75
C -1.56 -2.26 1.89
O -2.09 -1.45 2.67
-- stop --
Finding help at CHOP
As Jenni and her husband Andrew came to terms with the diagnosis, their perinatologist in Memphis, TN, suggested they contact the Center for Fetal Diagnosis and Treatment at Children's Hospital of Philadelphia (CHOP). Jenni and Andrew immediately flew to Philadelphia for an evaluation.
Once at CHOP, Jenni underwent a comprehensive series of tests, including a level II ultrasound, fetal MRI and fetal echocardiogram. A multidisciplinary team, including a maternal-fetal medicine specialist, clinical coordinator, social worker and pediatric surgeon Holly Hedrick, MD, who specializes in treating babies with CDH, helped them understand their test results and next steps.
“We were so impressed with the Center — the coordination of care, how they treated us during that evaluation, and the high number of CDH cases they see, plus high success rates,” explains Jenni. “They did a fantastic job of explaining CDH. They were clear that our baby’s case did look severe, but I left knowing she had a chance for survival."
Developing a birth plan
During that visit, the couple worked with the clinical team to map out a plan for the pregnancy and the baby's birth. CDH babies are extremely delicate and their condition can change quickly and unexpectedly, making it critically important to choose a hospital where all aspects of specialized care are immediately available in one location.
Children’s Hospital of Philadelphia is one of only a few U.S. hospitals offering such comprehensive care for a mother and her fetus before, during and after birth. CHOP’s Special Delivery Unit (SDU) is the world's first birth facility designed exclusively for mothers carrying babies with known defects, and it was one of the many factors that led the Pappas family to choose CHOP.
"There was no question that I would have the baby and the procedure at CHOP," says Jenni. At 31 weeks pregnant, she relocated to the Ronald McDonald House in Camden with her husband and their young daughter, so she could be near the Hospital.
The move wasn’t easy. But the support of visiting grandparents as well as resources provided by the Center and Ronald McDonald House helped ease the transition. And the care and expertise they were getting from a team of the most experienced professionals across all disciplines was well worth the trip.
“It was very challenging to live so far away from home, recalls Jenni. "But we were grateful for it. I wouldn't change what we did.”
Specialized care right from the start

On Oct. 29, 2009, at 37 weeks, Cora Pappas was born in the SDU. With the support of CHOP’s obstetricians and midwifery team, Jenni was able to have the natural delivery she had originally planned. Since all mothers delivering in the SDU have particularly high-risk pregnancies, the full delivery team is always present in case of the need for an emergency C-section or any other unexpected complications.
Immediately after her birth, Hedrick and the team worked to stabilize Cora. CDH babies require prompt placement of a tube to help them breathe and must have immediate access to specialized ventilation techniques.
"The baby with CDH needs expert multidisciplinary care from the first moment," says Hedrick. "It's one of the most challenging diagnoses we handle."
That need for specialized care right from the start led CHOP to create a Neonatal Surgical Team, the only one of its kind in the world. What that means for babies like Cora is an attending neonatologist, attending surgeon, and a core team of advanced practice surgical nurses, all with unique experience caring for surgical neonates, right at her bedside in the N/IICU.
This practice of bringing the OR to the N/IICU greatly decreases the risks associated with transporting delicate CDH babies. When the tiniest detail matters, keeping the CDH patient in a stable environment without any disruptions can make all the difference.
Cora underwent surgery in the N/IICU to repair the CDH when she was just 6 days old, and remained under the close watch of the surgical and neonatal teams, including pulmonary and cardiology specialists. At 6 weeks old, she had a second surgery to reinforce the patch that closed the hole in her diaphragm and remove a duplication cyst on her stomach.
Cora stayed in the N/IICU at Children's Hospital for two months. She defied the odds with her breathing and was able to come off the ventilator, but there were many issues with her feeding and digestion. When Cora was released, she still needed her nasogastric tube in place for feedings. She struggled with reflux and swallowing issues throughout her first year of life, and at age 1, underwent a procedure to have a gastric tube (g-tube) put in place.
But none of that has slowed Cora down.
Defying the odds

Today, Cora is a happy, healthy, energetic 9-year-old. She had her g-tube removed when she was 4 1/2, and loves to eat — more than her parents could've ever imagined during her difficult start in life!
She is smart, funny and kind, and loves school, especially math and science — in fact, she says she wants to be a pediatric surgeon! Cora also loves to play soccer, dance, play with her friends and her sister, and compete on her Destination Imagination team.
Thankfully, Cora no longer has to see any specialists or therapists, and her lungs function as well as a baby born without CDH. For babies who experience ongoing lung problems, CHOP has developed a specialized Pulmonary Hypoplasia Program that provides long-term expert follow-up and care.
“We realize how lucky we are,” says Jenni. “Not only that Cora beat the odds in so many ways, but for the world-class care we received at CHOP."
Originally posted: October 2012
Updated March 2019